Fundación ProAves – por la conservación en el país de las aves

National Census

1 October, 2005


Although Colombia is the largest number of bird species in the world (about 1879), counts of birds are a relatively new activity. For this reason in 2001 the regional ornithological associations Colombia, the National Birding and Alexander von Humboldt Institute, established the National Census of Birds to increase interest, knowledge and conservation of birds in our country. Currently there are two annual national surveys: the Christmas Bird Counts and Waterfowl Census.

What are Christmas Bird Counts?

Christmas Bird Counts is an initiative that seeks to generate information to determine the current status, changes may have on bird populations over time in specific locations in addition to strengthening the knowledge and the generation of appropriate tools for management and conservation birdlife.

How and where are born the Christmas Bird Counts?

Just over 100 years in the U.S. was a tradition during the Christmas season that was to hunt as many birds as possible. Concerned about the disappearance and conservation of many of these species, in 1900 the ornithologist Frank Chapman suggested going out to count birds rather than hunt them. From this year, these counts have been conducted continuously in this region of the world and spread to Central and South America having already more than 60 000 participants annually observers.

Christmas in Colombia Counts

For several years in Colombia these counts were conducted by regional organizations like the Association ornithological Ornithological Bogota Ornithological Foundation and the Atlantic. Currently, these counts are included in the annual national census of birds, which has enabled its establishment over 10 sampling points throughout the country, from the island of San Andrés to the department of Nariño.

When do these counts?

Between two parts of the entry: molecular data.
+++
1.
Entry from the OMol25 dataset: one molecule with the formula C20H29NO4 (ωB97M-V/def2-TZVPD).

Values from the calculation:
E_LUMO in Eh: 0.027
Energy above the lowest of the compared OMol25 structures with the same formula, charge and spin in kcal per mole: 6.9
SMILES string: CCOC(=O)C1(CCCc2ccccc2)CCN(C(=O)COC)CC1
Highest occupied orbital energy in eV: -9.169
Frontier orbital gap in eV: 9.90

Each atom is followed by the atoms it is bonded to, with distances in Å.
Geometry (Å):
1 C -3.307 -2.889 -0.689  C2 1.516, H52 1.086, H53 1.087, H54 1.087
2 C -2.308 -2.411 0.347  C1 1.516, H3 1.096, H4 1.094, O5 1.429
3 H -1.696 -3.238 0.724  C2 1.096
4 H -2.811 -1.938 1.196  C2 1.094
5 O -1.446 -1.453 -0.271  C2 1.429, C6 1.332
6 C -0.575 -0.830 0.521  O5 1.332, O7 1.205, C8 1.529
7 O -0.509 -1.011 1.710  C6 1.205
8 C 0.368 0.064 -0.284  C6 1.529, C9 1.534, C25 1.546, C32 1.542
9 C 1.385 0.702 0.670  C8 1.534, H10 1.092, H11 1.088, C12 1.529
10 H 1.776 -0.080 1.324  C9 1.092
11 H 0.907 1.441 1.311  C9 1.088
12 C 2.550 1.347 -0.080  C9 1.529, N13 1.444, H30 1.097, H31 1.087
13 N 3.209 0.363 -0.907  C12 1.444, C14 1.347, C24 1.448
14 C 4.468 -0.098 -0.777  N13 1.347, O15 1.219, C16 1.535
15 O 4.925 -0.960 -1.507  C14 1.219
16 C 5.344 0.535 0.312  C14 1.535, O17 1.410, H22 1.094, H23 1.099
17 O 4.804 0.474 1.613  C16 1.410, C18 1.408
18 C 4.733 -0.837 2.120  O17 1.408, H19 1.096, H20 1.088, H21 1.095
19 H 5.732 -1.283 2.194  C18 1.096
20 H 4.292 -0.760 3.112  C18 1.088
21 H 4.110 -1.481 1.490  C18 1.095
22 H 5.496 1.596 0.090  C16 1.094
23 H 6.315 0.022 0.271  C16 1.099
24 C 2.331 -0.228 -1.894  N13 1.448, C25 1.528, H28 1.095, H29 1.092
25 C 1.133 -0.897 -1.223  C8 1.546, C24 1.528, H26 1.093, H27 1.090
26 H 1.498 -1.743 -0.635  C25 1.093
27 H 0.455 -1.282 -1.985  C25 1.090
28 H 2.003 0.554 -2.588  C24 1.095
29 H 2.911 -0.967 -2.451  C24 1.092
30 H 2.183 2.151 -0.729  C12 1.097
31 H 3.249 1.766 0.640  C12 1.087
32 C -0.449 1.071 -1.119  C8 1.542, C33 1.530, H50 1.091, H51 1.091
33 C -0.975 2.304 -0.382  C32 1.530, H34 1.093, H35 1.092, C36 1.529
34 H -1.472 2.943 -1.116  C33 1.093
35 H -0.138 2.882 0.015  C33 1.092
36 C -1.940 2.010 0.766  C33 1.529, C37 1.506, H48 1.092, H49 1.096
37 C -3.204 1.277 0.399  C36 1.506, C38 1.389, C42 1.391
38 C -3.810 1.388 -0.845  C37 1.389, C39 1.385, H47 1.079
39 C -4.995 0.726 -1.118  C38 1.385, C40 1.384, H46 1.081
40 C -5.602 -0.050 -0.148  C39 1.384, C41 1.385, H45 1.080
41 C -5.014 -0.160 1.101  C40 1.385, C42 1.383, H44 1.081
42 C -3.826 0.496 1.368  C37 1.391, C41 1.383, H43 1.081
43 H -3.370 0.404 2.344  C42 1.081
44 H -5.482 -0.761 1.868  C41 1.081
45 H -6.527 -0.565 -0.361  C40 1.080
46 H -5.447 0.822 -2.095  C39 1.081
47 H -3.366 2.000 -1.616  C38 1.079
48 H -1.425 1.441 1.542  C36 1.092
49 H -2.230 2.967 1.215  C36 1.096
50 H 0.170 1.424 -1.945  C32 1.091
51 H -1.291 0.527 -1.552  C32 1.091
52 H -3.967 -3.628 -0.244  C1 1.086
53 H -3.901 -2.050 -1.043  C1 1.087
54 H -2.789 -3.336 -1.533  C1 1.087
+++

The counts are traditionally held every year during the last days of December and early January. In Colombia the dates for the completion of this count is between 14 December and 5 January.

How are the Christmas Bird Counts?

The methodology is quite simple in that each association, organization or person wishing to make a count shall:

• Choose your region in a circle of 25 km in diameter with the center of it properly georeferenced (geographical coordinates).

• Include in the circle several natural and man-made habitats that are easily accessible (ie forests, wetlands, bamboo forest, urban and suburban areas, etc.).

• Form groups of no more than five people to visit at least one of the proposed habitat within the circle and having a focal point to gather information.

• Perform the count at a period not exceeding 24 hours.

• Identify and count all birds seen and heard, and the number of individuals observed.

• Note the number of hours of counting, ie the start and end of activity, distance and means of transport.

• Take note of the prevailing climatic conditions during the count: wind, temperature, cloudiness, precipitation, etc.

• Meet at the end of the day with different teams, compiling all the information collected and turned in to the circle so that he in turn sent it to the national coordinator.

• You can include night-time observations or troughs in the final list of species, but the treatment of number of individuals and other data should be performed separately.

Who can participate in the Christmas Bird Count?

Are invited to attend as observers, bird lovers in the country (associations, organizations, regional ornithological groups, civil society) and generally anyone who is interested in the study and conservation of the environment in Colombia.

How can you participate in the Christmas Bird Count?

Going to the nearest bird association or by directly contacting the event coordinators to address who will be willing to answer questions and facilitate their participation in the event. This year censuses are conducted by the National Birding and ProAves.